Connecting and setting up the Dendy game console. Connecting Hami, Dandy and Sega to the TV, instructions How to connect an old Dandy set-top box

31.01.2023 Browsers

Dendy (Dandy) is a legendary console, which, in fact, was a hardware clone of the Famicom console from Nintendo, assembled in Taiwan from Chinese components. Naturally, 20 years ago no one was interested in these details: the very fact of owning a console with several cartridges was considered the greatest happiness. Dandy has become a household name, the dream of children and adults.

Today, other consoles are popular, but sometimes there is a desire to return to those years when Super Mario was the main character of the games, and Mortal Kombat was not yet so colorful and realistic, but was already drawing young gamers into the web of deadly battles. To return these sensations, you just need to figure out how to connect Dandy to the TV.


As standard, an RF cable is supplied with the set-top box, which is connected to the antenna connector on the TV.

Remember that you can connect and disconnect the antenna only when the device is turned off!

The connection itself is made as follows:

After this, the game with which you installed the cartridge into the console should appear on the screen.

AV cable

If you want the best picture quality, use an AV (low frequency) cable instead of a standard RF cord. With its help, the set-top box is connected to the TV not using the antenna connector, but through the video input.
In this case, no additional equipment setup is required: you just need to connect the two devices using a cable, and then switch to AV mode on the TV.

If your TV does not have an AV output, but has a SCART connector, use a special adapter.

Everything has its time

Remember that Dandy is over 20 years old, so your favorite game may look very unattractive on a high-resolution screen. Therefore, it is better to buy and connect a PS3 to your TV, and run Dendy games on your computer by downloading an emulator.
Of course, you won’t be able to achieve a complete feeling of immersion in the past, but if, for example, you connect a gamepad to your computer, you can spend an unforgettable evening in the company of your favorite childhood games.

In this article I will not only tell you how connect the joystick from dandy to the computer, but I will also offer you to download games for Dendy, Nintendo, Sega consoles. So even if you are not going to connect a joystick, you can simply download games and play on a regular keyboard.

The design is very simple. But, before you test the interface you made, make sure that all the wires are soldered correctly and that no exposed wires are touching anything. I highly recommend using an enclosure for these interfaces to reduce the risk of short circuits.

Let's start with the joystick for Dendy (NES). If you have a gamepad, and it has buttons A, B, Turbo A, Turbo B, Select and Begin (the last two may not be there, I strongly recommend not to take them) and communicates through 5 wires, then it is either an NES or an analogue NES will work if you do everything correctly.

However, it's time to get down to business. All you need is an LPT port connector (aka parallel, it’s from the printer), a soldering iron, five absolutely any diodes, and, in fact, the joystick itself. Let's get started.

Here is the joystick connector itself (does it look like COM?)

Everything is soldered according to the diagram, if you want to connect two joysticks, then all the wires are also soldered except for pins 8 and 7 on the NES, they must be soldered to pins 11 and 12 on the LPT.

And if you have a joystick with a different connector, then see below:

To solder the wires according to the diagram, you need to open the connector, but I suggest making everything much simpler. You can simply make a kind of extension adapter. In addition to LPT, we also need a COM connector (male)

Another very important detail. There are markings on the diodes; they should be soldered with the strip facing up. Just solder the wiring according to the diagram to the LPT and that’s it.

It turns out very well. But design is not as important as work!

And now the software matters.

We have to:

1) Install the driver and configure it.

2) Launch the console emulator and use it to open the game that interests you.

Let's start with installing and configuring the driver.

According to the manual, it is suitable for OS: Win9x/Me/NT/XP/2k. Unzip it to any convenient place and run it Setup.exe . The following window appears on the screen which you need to click on:

The installation process consists of clicking the “Next” button and should not cause any difficulties, so I see no point in considering it in detail.

After installation, the “Parallel Port Joystick” folder will appear in the Start menu, and there are several shortcuts in it. We are interested in “Configure Joysticks” - we launch it. The joystick configuration utility window appears on the screen. In it, click the “Add” button.

We see the window for configuring the new joystick. We set the values ​​in it as shown in the figure. Do not be confused in choosing the interface type; in our case, this has nothing to do with the Linux OS.

Having set all the values ​​correctly, click on the “Add” button. We go to the previous window. If we have only one joystick, we can safely press the “Done” button. If we need to configure the second joystick, then click “Add” again, a familiar dialog appears, although our choice is already somewhat limited, but the values ​​​​will need to be set in the same way as in the picture above. The only exception is in the penultimate line, i.e. The controller number is now indicated not 1, but 2 or more, depending on which joystick we connect.

Well, half the work is done, all that remains is to check the functionality of the joystick.

Go to the "Control Panel" and launch the "Game Devices" shortcut. Select the joystick we are interested in and click on the “Properties” button. The properties window appears. In the "Test" tab we can check whether our joystick works. At the moment when no one touches the joystick and none of its buttons are pressed, the cross of the axes will be in the center of the white area, and the button images will all be the same dark red.

You bought a new Dandy or Sega console in the store, or found an old one in the attic (in a barn, at a friend’s house - it doesn’t matter). There should be no problems with the new set-top box, since a self-respecting manufacturer will ALWAYS include an instruction manual in the box with the set-top box. But there may be problems with the old one, because neither the box nor the instructions might have been preserved. What to do? The main thing is not to panic. Read our instructions and you can easily connect your game console to your TV.

1 . Make sure that you have a complete set - a game console, a network adapter, an audio/video cable for connecting the console to the TV, one or two joysticks and a game cartridge if the console does not have built-in games.

2. Connect the network adapter to the power input (AC), located on the back panel of the game console, and to a 220V electrical network. The POWER button (optionally POWER) on the set-top box should be in “off” mode.

3. Connect the audio/video cable plugs on one side to the TV, and on the other to the corresponding connector on the back of the console. Here are the possible options:

  • The DANDY game console (and its numerous modifications) comes with a regular mono audio/video cable with identical “tulip” connectors on both ends - 2 pcs.. It doesn’t matter which ones you connect to the TV and which ones to the console, the main thing is that yellow "tulips" must be connected to video connectors, and white ones - to audio connectors.
  • If the SEGA set-top box comes with the same cable as described above (there are also such set-top boxes), then the connection algorithm is similar to that described above.
  • For the classic SEGA set-top box, the audio/video cable on one side has 2 “tulip” connectors - you connect them to the TV (and again yellow to video, and white to audio), and on the other side there is a special plug that must be very carefully connected to the intended this game console socket. IMPORTANT- there is an arrow-shaped mark on the plug and when connecting it must be on top, otherwise there is a chance of bending the three thin contacts inside the plug.

4. Switch your TV to Video mode.

5 . Connect the joysticks to the corresponding sockets on the front panel of the console. Please note that the main joystick will ALWAYS be the one connected to the left socket. In most cases, the game kit comes with two identical joysticks - whichever one you connect to the left connector on the console will be the main one and it is from it that you can select a game, change game settings, etc. An additional joystick is used for playing with two people and is connected to the right slot.
In some Dandy consoles, the additional joystick does not have the “Start” and “Select” buttons. Do not try to use this joystick as your main joystick, as you will not be able to use it to access the game menu and start playing.

6. Turn on the console and enjoy the game.

If you have connected everything correctly, tuned the TV to the desired channel, but the game does not play, then some element of the kit is not working. If you live in Yekaterinburg, then you can safely go to our store "New Game Ural", where we will diagnose your Dandy or Sega kit completely free of charge.*

* It will determine what works and what doesn't in your kit. Repairing a faulty item is not included in the diagnosis.

If you have difficulty connecting a set-top box to a modern TV, then read this.

Connecting a game console to a TV can be done in several ways. The ease of use of the device, as well as the image quality, depend on which one is chosen.


  • If your TV is equipped only with a high-frequency input, then choose a set-top box that has a corresponding output. Unlike VCRs, which are most often equipped with UHF modulators, set-top boxes are usually equipped with VHF modulators. Therefore, it is necessary to connect a set-top box to a TV that has separate inputs for these ranges instead of an MV antenna. Remember that you must connect and disconnect a collective or other grounded antenna when the device is turned off. The same applies to the set-top box if its power supply is switching.
  • After connecting the set-top box, turn on its power, and then tune the TV to the channel on which its modulator operates. The method for performing this operation varies depending on the TV. The criterion for fine tuning is a compromise between image clarity and the invisibility of crackling from frame sync pulses.
  • Frequent switching of cables from the antenna and set-top box leads to rapid wear of the TV socket. Some set-top boxes include special antenna switches. In this case, with the equipment de-energized (the switch body is metal!), connect an antenna and a set-top box to the switch inputs, and connect the switch output to the TV.
  • A number of set-top boxes do not contain a built-in modulator, but have a special socket for connecting it. In addition to image and sound signals, the supply voltage is output to this socket. Connect the modulator to the socket, and connect its output to the TV using one of the methods indicated above.
  • The best image quality and date are achieved when connecting the set-top box via a low-frequency channel. To do this, first make sure that your TV is equipped with the appropriate inputs. Then purchase or assemble a cable to connect the set-top box to the DIN-6, RCA or SCART connectors available on the TV, depending on the type of device. Once connected, select the AV input on your TV. If your TV has several such inputs, try them all until an image appears. There is no need to configure the device.
  • If the set-top box does not have a modulator, and the TV does not have a low-frequency input, use a VCR as a modulator. But remember that you will have to look for the output signal in the UHF range. Almost all VCRs contain switching power supplies and require de-energization when connected.
  • There is little to surprise today's youth in the field of computer games. They no longer bother with the question of how to connect “Dandy” to the TV, but play on super-powerful computers. The most realistic graphics, believable characters, incredible music - all this is quite familiar to a modern gamer. But just a couple of decades ago, all this did not exist, but there was something that won the hearts of millions of people - one of the first consoles - the Dandy console.

    A little from the history of “Dandy”: the game of our childhood

    Those born before the nineties probably remember the hype around the incredibly “cool” console with the baby elephant logo on the panel, which appeared in the early 90s. At that time, the game cost incredible money for a Soviet citizen, but this did not stop the developers from earning millions in this market.

    In fact, “Dandy” is the first on the domestic market, but not the first in production. Nintendo had previously released dozens of other versions of consoles, but only “Dandy” was able to win the hearts of domestic gamers. At that time, there were 4 dealers from the Stapler company in Russia who supplied them. Unfortunately, this company curtailed its activities by 1994.

    Of course, even now you can find the long-forgotten “Dandy” on the shelves of some stores and on specialized websites, but all of them are far from the original and are nothing more than a fake from China.

    Cartridges and the most popular games on "Dandy"

    The console and joysticks themselves were of no interest without special cartridges; they were the carriers of basic information. One such cartridge could contain either one game or 999! But those that had from 3 to 10 different games were considered the most valuable. Young people were constantly changing, buying and selling cartridges to each other. Even in our time, you can meet people who still have entire collections of original and rare games.

    It is thanks to the huge range of high-quality and interesting games that were released for the Nes operating system that this console has become so in demand among Russian game lovers. Such immortal creations as “Mortal Kombat”, “Pac-Man”, “Super Mario”, “Tanks”, “Island of Adventure” and many others will forever remain in the memory of people who survived the cult of the nineties.

    How to connect "Dandy" to a TV?

    This was the question asked by many happy buyers of the console at that time. In fact, there was nothing complicated about it, all you had to do was connect the a/v plugs of the set-top box and TV, and then start searching for a channel - it’s simple!

    But the fact is that in those days, TVs were simple, that is, they had the appropriate connectors, but how to connect the “Dandy” to a modern TV model that supports HDMI?

    If you don't find an audio/video output on your TV, you may find a SCART output, which is essentially the same as A/V. In this case, you will have to buy an adapter or the SCART cable itself; it has a wide connector on one side and “tulips” on the other. Thanks to this cable, you can solve the problem of how to connect “Dandy” to your TV.

    How to connect the Dandy set-top box to the latest generation TV?

    Unfortunately, recently manufacturers have increasingly begun to produce televisions that do not have connectors for component connections, due to the fact that modern receivers have a high-definition interface.

    Let's say you decide to plunge into the past and play retro games. A set-top box was purchased for this purpose, but later it turned out that your TV does not have A/V and SCART outputs. What to do? How to connect “Dandy” to a Samsung TV that does not have the necessary connectors (however, this applies to any brand).

    Getting out of this situation is not easy, but it is possible. You will have to purchase a special device - an A/V to HDMI converter. Such converters are sold in online stores and on popular Chinese sites.

Unrelated to this article: molecular data >
........
Entry 1:
Molecular formula: C3H3FOS
Method: DFT, ωB97M-V/def2-TZVPD

Structure (ORCA input):
```
! RIJCOSX wB97M-V def2-TZVPD def2/J DEFGRID3
* xyz 0 1
C 0.1492 0.6639 0.3034
C 0.7519 -0.6590 -0.1680
C -1.0796 -0.0093 -0.1412
H 0.4453 0.9502 1.3216
H 0.8483 -1.1229 1.2121
H 1.8147 -0.6381 -0.8037
O -0.5434 -1.0976 -0.7783
F 0.2496 1.6302 -0.7314
S -2.6360 0.2826 -0.2146
*
```

Calculated values
Orbital gap ... 9.2 eV
Energy relative to the best compared isomer or geometry (same formula, charge and spin) ... 74.69 kcal per mole
Highest occupied orbital energy ... -9.282 eV
Calculated total energy ... -18755.802 eV
LUMO energy ... -0.12 eV

Entry 2:
Molecular formula: C3H3FOTm
Method: DFT, ωB97M-V/def2-TZVPD

Structure (ORCA input):
```
! RIJCOSX wB97M-V def2-TZVPD def2/J DEFGRID3
* xyz 0 4
F -0.3054 1.6069 -1.3200
O -0.0352 -0.6622 1.3620
C -0.1979 0.1345 -0.4474
C -1.0204 -0.8738 0.3033
........

    So, before connecting “Dandy” to your LG TV, make sure that the set-top box is turned off and disconnected from the power supply. Next, use a cable with “tulips” to connect the set-top box to the converter. On the other hand, the converter connects to the TV using an HDMI cable. All that remains is to insert the cartridge with your favorite game into the console, connect it to the network and turn on the game. You may need to search for channels to reach the required wavelength.